Philippines | BCH-RA-PH-115890 | Risk Assessment generated by a regulatory process | Biosafety Clearing-House

Risk Assessment generated by a regulatory process (RA)
BCH-RA-PH-115890-1   |   PDF   |   Print   |  
last updated: 18 Feb 2021
General Information
Determination for the Safety Assessment of Canola DP73496 for Direct Use as Food, Feed and for Processing
Risk assessment details
  • DP-Ø61Ø61-7 - Glyphosate tolerant canola
    | Pioneer Hi-Bred International Inc. | Resistance to herbicides (Glyphosate)
Methodology and points to consider
Brassica napus was considered unsuitable as a source of food for either humans or animals, because the seed naturally contains erucic acid and glucosinolates, which are toxic to humans and other organisms. However, it was widely used as an edible oil in Asia for thousands of years (OECD, 1997a). In the 1970s, intensive breeding programs produced high quality varieties that were significantly lower in erucic acid and glucosinolates. The term ‘canola’ refers to those varieties of B. napus that meet specific standards on the level of erucic acid and glucosinolates
Results of the toxicological and allergenicity assessment indicate that GAT4621 protein being expressed in DP73496 is not toxic or allergenic to humans.

Amino acid sequence comparison was conducted using techniques such as homology search using BLASTp program, a search for continuous, identical stretches of 8 amino acid residues in length, and an identity search using the FASTA35 alignment algorithm to search for alignments of 80 residues or longer possessing a sequence identity of 35%. Results showed that GAT4621 protein has no homology to any known toxins or allergens.

The acute oral toxicity study indicated that administration of 2000 mg/kg GAT4621 protein to 5 male and 5 female mice did not resulted to mortality, treatment-related clinical observations of toxicity, gross lesions at necropsy body weight losses, change in food consumption, and macroscopic changes at necropsy. The No Observed Effect Level (NOEL) for GAT4621 protein is 2000 mg/kg body weight.
Molecular characterization of DP73496 canola demonstrated that a single, intact, copy of the PHP28181A DNA fragment was stably incorporated into the genome at a single site.

A consistent hybridization pattern was seen across all plants from five generations, indicating stable genetic inheritance of the inserted DNA. Probes to the entire backbone region of plasmid PHP28181 were hybridized to both Nco I-digested genomic DNA and demonstrated that plasmid sequences outside of the PHP28181A fragment were not present in DP73496 canola.
Canola DP73496 applied for Direct Use as Food, Feed or for Processing (FFP) is safe as its conventional counterpart and shall not pose any significant risk to human and animal health and environment.
Genetic stability in the transgenic crop is ensured such that no unintended horizontal gene transfer shall occur to unrelated species. 
The data evaluated support the conclusion that the regulated article is as safe as its conventional counterpart. A biosafety permit for direct use can be issued for the said event.
The introduction of DP73496 canola will not change the consumption patterns of population subgroups, as its use is not addressed to any specific group. The DP73496 canola can be substituted for all uses of conventional canola.
The application of DP73496 canola is not for propagation. This LMO will be directly used for food, feed and for processing.
Diagnostic lateral flow strips, ELISA and PCR for routine qualitative and semi-quantitative detection of transgenes. For higher sensitivity, real-time PCR methods may be used.
Additional information
DP73496 canola is intended for direct use as food, feed and for processing.

These crystal structures were left in the page by mistake:
'''
The following is a calculated powder XRD pattern of Li2CrNiO4. It was derived from a PBE+U-relaxed structure, using Cu Kα (weighted mean of Kα1 and Kα2).
Lines closer than 0.1° are merged.

Principal peaks in the range 2θ = 5–70°, in order of rising 2θ:
- 24.2°, intensity 1000
- 37.7°, intensity 190
- 38.8°, intensity 159
- 42.7°, intensity 262
- 44.4°, intensity 493
- 51.3°, intensity 227
- 59.0°, intensity 102
- 60.4°, intensity 81
- 63.3°, intensity 269
- 64.7°, intensity 133

Structural model:
Cell lengths 5.7667, 8.4791, 5.7629 Å; angles 90.00, 90.00, 90.00 degrees
Space group C222 (No. 21)
Symmetry-distinct sites (fractional):
Li  0.0000  0.0000  0.0000 (multiplicity 2)
Li  0.0000  0.5000  0.5000 (multiplicity 2)
Li  0.2500  0.2500  0.2501 (multiplicity 4)
Cr  0.2500  0.2500  0.7432 (multiplicity 4)
Ni  0.0000  0.0000  0.5000 (multiplicity 2)
Ni  0.0000  0.5000  0.0000 (multiplicity 2)
O  0.0000  0.2434  0.5000 (multiplicity 4)
O  0.0000  0.2759  0.0000 (multiplicity 4)
O  0.2478  0.0195  0.7550 (multiplicity 8)

~~~~~

# Pr2Sm7Dy2
Theoretical powder X-ray diffraction pattern, Cu Kα, 1.54184 Å. Input: a cell relaxed with PBE.
Neutral-atom scattering factors, no anomalous dispersion.

Top 10 peaks for 2θ from 10° to 80°, sorted by position:
2θ = 28.03°, intensity 24; 2θ = 30.64°, intensity 25; 2θ = 32.03°, intensity 100; 2θ = 41.99°, intensity 11; 2θ = 42.04°, intensity 5; 2θ = 49.60°, intensity 20; 2θ = 55.35°, intensity 21; 2θ = 59.40°, intensity 11; 2θ = 59.47°, intensity 11; 2θ = 60.27°, intensity 16

Structure:
```
Pr2Sm7Dy2
1.0
8.0364 -3.1823 0.0000
8.0364 3.1823 0.0000
-5.8683 0.0000 14.6834
Pr Sm Dy
4 14 4
Direct
0.0297 0.6975 0.5229
0.3025 0.9703 0.9771
0.6975 0.0297 0.0229
0.9703 0.3025 0.4771
0.1203 0.7860 0.3400
0.1519 0.4842 0.1150
0.2140 0.8797 0.1600
0.2418 0.5734 0.9303
0.3332 0.6668 0.7500
0.4266 0.7582 0.5697
0.4842 0.1519 0.6150
0.5158 0.8482 0.3850
0.5734 0.2418 0.4303
0.6668 0.3332 0.2500
0.7582 0.4266 0.0697
0.7860 0.1203 0.8400
0.8482 0.5158 0.8850
0.8797 0.2140 0.6600
0.0618 0.3927 0.2943
0.3927 0.0618 0.7943
0.6073 0.9382 0.2057
0.9382 0.6073 0.7057
```

~~~~~

[1]
Computed powder XRD pattern of CaAs12Os4 for Cu Kα, 1.54184 Å, from a PBE-relaxed structure.
Lines closer than 0.1° are merged.

Cell lengths 8.6335, 8.6335, 8.6335 Å; angles 90.00, 90.00, 90.00 degrees
Space group Im-3 (No. 204)
Symmetry-distinct sites (fractional):
1 Ca 0.0000 0.0000 0.0000
2 As 0.0000 0.3486 0.1489
3 Os 0.2500 0.2500 0.2500

Top 12 peaks for 2θ from 10° to 90°, low angle first:
2θ/deg  d (Å)  I_rel
20.57  4.317  767
29.26  3.052  750
32.80  2.730  788
36.04  2.492  280
39.04  2.307  247
47.07  1.931  1000
51.88  1.762  749
54.17  1.693  287
68.77  1.365  255
72.64  1.302  205
76.43  1.246  161
80.17  1.197  187



[2]
Computed powder XRD pattern of Ca3As3P for Cu Kα, 1.54184 Å, from a PBE-relaxed structure.
Lines closer than 0.1° are merged.

Cell lengths 18.6829, 6.2371, 12.2033 Å; angles 90.00, 90.00, 90.00 degrees
'''

All relevant references submitted by the technology developer in their application; other references requested by the Scientific and Technical Review Panel (STRP) members during the evaluation of this combined trait product.